Appropriations-General Services Committee
Filed: 5/20/2008
09500HB3901ham001 HDS095 00072 CIN 20072 a
AMENDMENT NO. ______. Amend House Bill 3901, by deleting everything after the enacting clause and inserting in lieu thereof the following:
Section 5. The following named amounts, or so much of those amounts as may be necessary, respectively, for the objects and purposes hereinafter named, are appropriated to the Office of the Secretary of State to meet the ordinary, contingent, and distributive expenses of the following organizational units of the Office of the Secretary of State:
For Personal Services:
Payable from General Revenue Fund ........... 4,411,100
For Extra Help:
Payable from General Revenue Fund............... 39,100
For Employee Contribution to State
Employees' Retirement System:
Payable from General Revenue Fund ............. 448,600
Payable from Road Fund ........................ 525,000
For State Contribution to State
Employees' Retirement System:
Payable from General Revenue Fund.............. 928,500
For State Contribution to
Social Security:
Payable from General Revenue Fund.............. 337,450
For Contractual Services:
Payable from General Revenue Fund.............. 496,300
For Travel Expenses:
Payable from General Revenue Fund................ 4,000
For Commodities:
Payable from General Revenue Fund............... 13,850
For Printing:
Payable from General Revenue Fund................ 6,200
For Equipment:
Payable from General Revenue Fund................ 6,000
For Telecommunications:
Payable from General Revenue Fund............... 61,050
For Personal Services:
Payable from General Revenue Fund........... 14,797,300
Payable from Lobbyist Registration Fund........ 107,150
Payable from Securities Audit
and Enforcement Fund......................... 2,367,600
Payable from Department of Business Services
Special Operations Fund........................ 272,500
For Extra Help:
Payable from General Revenue Fund............ 1,141,000
Payable from Securities Audit
and Enforcement Fund............................ 13,800
Payable from Department of Business Services
Special Operations Fund........................ 145,300
For Employee Contribution to State
Employees' Retirement System:
Payable from Lobbyist Registration Fund.......... 2,100
Payable from Securities Audit
and Enforcement Fund............................ 48,800
Payable from Department of Business Services
Special Operations Fund.......................... 5,800
For State Contribution to
State Employees' Retirement System:
Payable from General Revenue Fund............ 3,114,700
Payable from Lobbyist Registration Fund......... 22,600
Payable from Securities Audit
and Enforcement Fund........................... 498,400
Payable from Department of Business Services
Special Operations Fund......................... 57,400
For State Contribution to
Social Security:
Payable from General Revenue Fund............ 1,132,000
Payable from Lobbyist Registration Fund.......... 8,200
Payable from Securities Audit
and Enforcement Fund........................... 181,100
Payable from Department of Business Services
Special Operations Fund......................... 20,800
For Contractual Services:
Payable from General Revenue Fund............ 3,342,150
Payable from Lobbyist Registration Fund........ 110,400
Payable from Securities Audit
and Enforcement Fund........................... 442,000
Payable from Department of Business Services
Special Operations Fund........................ 819,400
For Travel Expenses:
Payable from General Revenue Fund............... 28,100
Payable from Lobbyist Registration Fund.......... 1,000
Payable from Securities Audit
and Enforcement Fund............................. 3,000
Payable from Department of Business Services
Special Operations Fund.......................... 1,500
For Commodities:
Payable from General Revenue Fund.............. 502,150
Payable from Lobbyist Registration Fund............ 500
Payable from Registered Limited
Liability Partnership Fund......................... 450
Payable from Securities Audit
and Enforcement Fund............................. 7,100
Payable from Department of Business Services
Special Operations Fund......................... 13,300
For Printing:
Payable from General Revenue Fund.............. 428,000
Payable from Lobbyist Registration Fund............ 750
Payable from Securities Audit
and Enforcement Fund............................. 3,750
Payable from Department of Business Services
Special Operations Fund......................... 16,500
For Equipment:
Payable from General Revenue Fund.............. 191,050
Payable from Registered Limited
Liability Partnership Fund....................... 1,750
Payable from Securities Audit
and Enforcement Fund........................... 103,250
Payable from Department of Business Services
Special Operations Fund........................ 110,500
For Electronic Data Processing:
Payable from the Secretary of State
Special Services Fund........................ 4,500,000
For Telecommunications:
Payable from General Revenue Fund.............. 220,500
Payable from Lobbyist Registration Fund.......... 1,950
Payable from Registered Limited
Liability Partnership Fund......................... 300
Payable from Securities Audit
and Enforcement Fund............................ 31,900
Payable from Department of Business Services
Special Operations Fund......................... 42,500
For Operation of Automotive Equipment:
Payable from General Revenue Fund.............. 214,750
Payable from Securities Audit
and Enforcement Fund............................ 75,000
Payable from Department of Business Services
Special Operations Fund......................... 42,500
For Refunds:
Payable from General Revenue Fund................ 5,000
Payable from Road Fund....................... 1,137,100
For Personal Services:
Payable from General Revenue Fund............ 6,218,800
Payable from Road Fund...................... 24,665,100
Payable from Motor Vehicle Review
Board Fund..................................... 253,200
Payable from Vehicle Inspection Fund........... 208,900
For Extra Help:
Payable from General Revenue Fund.............. 200,200
Payable from Road Fund....................... 6,720,500
Payable from Vehicle Inspection Fund............ 41,600
For Employees Contribution to
State Employees' Retirement System:
Payable from Motor Vehicle Review Board Fund..... 5,100
Payable from Vehicle Inspection Fund............. 4,300
For State Contribution to
State Employees' Retirement System:
Payable from General Revenue Fund............ 1,309,000
Payable from Road Fund....................... 2,415,700
Payable from Motor Vehicle Review Board Fund.... 53,300
Payable from Vehicle Inspection Fund............ 44,000
For State Contribution to
Social Security:
Payable from General Revenue Fund.............. 475,700
Payable from Road Fund....................... 2,260,100
Payable from Motor Vehicle Review
Board Fund...................................... 19,400
Payable from Vehicle Inspection Fund............ 16,000
For Contractual Services:
Payable from General Revenue Fund............ 2,214,300
Payable from Road Fund......................... 149,900
Payable from CDLIS/AAMVAnet Trust Fund
Trust Fund................................... 700,000
Payable from Motor Vehicle Review
Board Fund.................................... 73,000
Payable from Vehicle Inspection Fund........... 186,000
### Materials data, kept here for reference
Entry 1:
GeBiH8C2S4N: optimized geometry, PBE.

Summary:
MP2020-corrected energy   -171.5 eV for the cell shown
E_form   -0.398 eV/atom
Total magnetic moment   0.0 μB/f.u.
Electronic total energy   -166.79 eV per cell

Cell: 6.9284 7.1621 10.9542 Å, 90.00 104.88 90.00°
Space group P2_1 (No. 4)
Inequivalent atoms, fractional coordinates:
Ge 0.2167 0.0000 0.3496 [2 per cell]
Bi 0.2457 0.6034 0.5413 [2 per cell]
H 0.0199 0.5595 0.0503 [2 per cell]
H 0.1147 0.3481 0.0010 [2 per cell]
H 0.1856 0.5671 0.9489 [2 per cell]
H 0.2844 0.6010 0.2036 [2 per cell]
H 0.3347 0.3745 0.1893 [2 per cell]
H 0.3945 0.1366 0.8088 [2 per cell]
H 0.3999 0.9140 0.8831 [2 per cell]
H 0.4954 0.6122 0.0246 [2 per cell]
C 0.1491 0.4940 0.0273 [2 per cell]
C 0.4812 0.0458 0.8832 [2 per cell]
S 0.0118 0.2443 0.3380 [2 per cell]
S 0.0475 0.7354 0.3008 [2 per cell]
S 0.3952 0.9441 0.5508 [2 per cell]
S 0.4278 0.0665 0.2344 [2 per cell]
N 0.3210 0.5034 0.1421 [2 per cell]

Entry 2:
BiH24C6I6N3: optimized geometry, PBE.

Summary:
MP2020-corrected energy   -2243.9 eV for the cell shown
E_form   -0.304 eV/atom
Total magnetic moment   0.0 μB/f.u.
Electronic total energy   -2230.92 eV per cell

Cell: 31.5895 31.5895 9.0063 Å, 90.00 90.00 120.00°
Space group R-3 (No. 148, hexagonal axes)
Inequivalent atoms, fractional coordinates:
Bi 0.0000 0.0000 0.0000 [3 per cell]
Bi 0.0000 0.5000 0.0000 [9 per cell]
H 0.0004 0.2325 0.1475 [18 per cell]
H 0.0067 0.1965 0.7932 [18 per cell]
H 0.0082 0.7788 0.6575 [18 per cell]
H 0.0094 0.1136 0.5953 [18 per cell]
H 0.0108 0.3863 0.5699 [18 per cell]
H 0.0145 0.8479 0.4639 [18 per cell]
H 0.0152 0.4271 0.4242 [18 per cell]
H 0.0177 0.8426 0.0472 [18 per cell]
H 0.0279 0.6371 0.5890 [18 per cell]
H 0.0322 0.1593 0.8522 [18 per cell]
H 0.0357 0.5869 0.3287 [18 per cell]
H 0.0385 0.8287 0.7859 [18 per cell]
H 0.0459 0.9120 0.1990 [18 per cell]
H 0.0484 0.5693 0.4901 [18 per cell]
H 0.0535 0.9131 0.4587 [18 per cell]
H 0.0689 0.8771 0.2527 [18 per cell]
C 0.0008 0.8380 0.1570 [18 per cell]
C 0.0095 0.6062 0.5137 [18 per cell]
C 0.0224 0.8814 0.4062 [18 per cell]
C 0.0255 0.7898 0.7666 [18 per cell]
I 0.0112 0.9233 0.8070 [18 per cell]
I 0.0331 0.6115 0.0259 [18 per cell]
I 0.0703 0.5220 0.7249 [18 per cell]
I 0.0829 0.5167 0.2195 [18 per cell]
N 0.0372 0.8791 0.2505 [18 per cell]
N 0.0470 0.5979 0.4380 [18 per cell]

Entry 3:
Bi2H18C3I9N9: optimized geometry, PBE.

Summary:
MP2020-corrected energy   -814.5 eV for the cell shown
E_form   -0.448 eV/atom
Electronic total energy   -801.53 eV per cell

Cell: 10.8068 14.7327 21.7181 Å, 90.00 90.00 90.00°
Space group Cmcm (No. 63)
Inequivalent atoms, fractional coordinates:
Bi 0.0000 0.2266 0.1504 [8 per cell]
H 0.0806 0.2667 0.5497 [16 per cell]
H 0.0811 0.2670 0.7500 [8 per cell]
H 0.1096 0.0515 0.6218 [16 per cell]
H 0.1103 0.4925 0.2500 [8 per cell]
H 0.1888 0.1415 0.5897 [16 per cell]
H 0.1894 0.4051 0.7500 [8 per cell]
C 0.0000 0.1551 0.5894 [8 per cell]
C 0.0000 0.3931 0.7500 [4 per cell]
For Travel Expenses:
Payable from General Revenue Fund................ 7,000
Payable from Road Fund........................... 4,000
For Commodities:
Payable from General Revenue Fund.............. 146,250
Payable from Road Fund......................... 151,550
Payable from the Secretary of State
Special License Plate Fund................. 2,000,000
Payable from Motor Vehicle
Review Board Fund................................ 250
Payable from Vehicle Inspection Fund............ 10,000
For Printing:
Payable from General Revenue Fund.............. 644,150
Payable from Road Fund.......................... 50,000
Payable from the Secretary of State
Special License Plate Fund................... 500,000
Payable from Motor Vehicle Review
Board Fund......................................... 500
Payable from Vehicle Inspection Fund............ 25,000
For Equipment:
Payable from General Revenue Fund.............. 187,500
Payable from Road Fund.......................... 50,000
Payable from CDLIS/AAMVAnet Trust Fund......... 181,900
Payable from Vehicle Inspection Fund........... 111,250
For Telecommunications:
Payable from General Revenue Fund.............. 765,050
Payable from Road Fund.......................... 10,950
Payable from the Secretary of State
Special License Plate Fund................... 150,000
Payable from Motor Vehicle Review
Board Fund....................................... 850
Payable from Vehicle Inspection Fund............ 15,000 For Operation of Automotive Equipment:
Payable from General Revenue Fund.............. 275,750
Section 145. The amount of $250,000, or so much of this amount as may be necessary, is appropriated from the SOS Federal Projects Fund to the Office of the Secretary of State for the payment of any operational expenses relating to the cost incident to augmenting the Illinois Commercial Motor Vehicle safety program by assuring and verifying the identity of drivers prior to licensure, including CDL operators; for improved security for Drivers Licenses and Personal Identification Cards; and any other related program deemed appropriate by the Office of the Secretary of State.
Section 150. The amount of $925,000, or so much of this amount as may be necessary, is appropriated to the Office of the Secretary of State from the Securities Investors Education Fund for any expenses used to promote public awareness of the dangers of securities fraud.
Section 155. The amount of $2,500, or so much of this amount as may be necessary, is appropriated to the Office of the Secretary of State from the Secretary of State Evidence Fund for the purchase of evidence, for the employment of persons to obtain evidence, and for the payment for any goods or services related to obtaining evidence.
Section 160. The amount of $110,000, or so much thereof as may be necessary, is appropriated from the Alternate Fuels Fund to the Office of Secretary of State for the cost of administering the Alternate Fuels Act.
Section 165. The amount of $6,687,000, or so much of this amount as may be necessary, is appropriated from the Secretary of State Special Services Fund to the Office of the Secretary of State for office automation and technology.
Section 170. The amount of $7,000,000, or so much of this amount as may be necessary, is appropriated from the Motor Vehicle License Plate Fund to the Office of the Secretary of State for the cost incident to providing new or replacement plates for motor vehicles.
Section 175. The sum of $900,000, or so much of this amount as may be necessary, is appropriated from the Secretary of State DUI Administration Fund to the Office of Secretary of State for operation of the Department of Administrative Hearings of the Office of Secretary of State and for no other purpose.
Section 180. The amount of $15,000, or so much thereof as may be necessary, is appropriated from the Secretary of State Police DUI Fund to the Secretary of State for the purchase of law enforcement equipment to assist in the prevention of alcohol-related criminal violence throughout the State.
Section 185. The amount of $35,000 is appropriated from the Secretary of State Police Services Fund to the Secretary of State for purposes as indicated by the grantor or contractor or, in the case of money bequeathed or granted for no specific purpose, for any purpose as deemed appropriate by the Director of Police, Secretary of State in administering the responsibilities of the Secretary of State Department of Police.
Section 200. The following amount, or so much of this amount as may be necessary, is appropriated to the Office of the Secretary of State for any operations, alterations, rehabilitation, new construction, and maintenance of the interior and exterior of the various buildings and facilities under the jurisdiction of the Secretary of State to enhance security measures in the Capitol Complex:
From the General Revenue Fund.................... 300,000
Section 225. The sum of $500,000, or so much of this amount as may be necessary, is appropriated from the Indigent BAIID Fund to the Office of the Secretary of State to reimburse ignition interlock device providers per Public Act 95-0400.
Section 230. The sum of $500,000, or so much of this amount as may be necessary, is appropriated from the Franchise Tax and License Fee Amnesty Administration Fund to the Office of the Secretary of State for any Secretary of State costs associated with the administration of the Franchise Tax and License Fee Amnesty Act of 2007.
Section 999. Effective Date. This Act takes effect July 1, 2008.”.